<<<
Entry 1:
First-principles (PBE-GGA) data for an optimized crystal structure of La8PdRu3, as listed in Alexandria via LeMat-Bulk.

Values from the calculation:
Symmetry = Cm, No. 8
ΔH_f (0 K) = -0.260 eV/atom

Unit cell a=5.727 b=9.190 c=9.147 alpha=107.50 beta=108.24 gamma=90.00
Element x y z (fractional)
La1 0.659 0.006 0.318
La2 0.224 0.322 0.449
Ru1 0.395 0.296 0.791
La3 0.115 0.688 0.230
Pd1 0.286 0.677 0.572
Ru2 0.605 0.695 0.211
La4 0.559 0.341 0.118
La5 0.770 0.661 0.541
La6 0.451 0.653 0.901
La7 0.344 0.012 0.688
Ru3 0.706 0.301 0.412
La8 0.883 0.320 0.765



Entry 2:
First-principles (PBE-GGA) data for an optimized crystal structure of La6PdRu3, as listed in Alexandria via LeMat-Bulk.

Values from the calculation:
Symmetry = P2_1/m, No. 11
ΔH_f (0 K) = -0.355 eV/atom

Unit cell a=4.200 b=12.011 c=12.055 alpha=110.51 beta=90.00 gamma=90.00
Element x y z (fractional)
La1 0.750 0.263 0.723
La2 0.250 0.400 0.552
Pd1 0.750 0.699 0.064
La3 0.750 0.600 0.448
Pd2 0.250 0.301 0.936
Ru1 0.750 0.088 0.162
La4 0.750 0.058 0.391
La5 0.750 0.755 0.772
La6 0.250 0.737 0.277
La7 0.250 0.549 0.889
Ru2 0.250 0.487 0.284
La8 0.250 0.245 0.228
Ru3 0.250 0.912 0.838
La9 0.250 0.906 0.069
Ru4 0.750 0.513 0.716
La10 0.250 0.942 0.609
Ru5 0.250 0.174 0.550
La11 0.750 0.094 0.931
Ru6 0.750 0.826 0.450
La12 0.750 0.451 0.111



Entry 3:
First-principles (PBE-GGA) data for an optimized crystal structure of La3PdRu, as listed in Alexandria via LeMat-Bulk.

Values from the calculation:
Symmetry = P-1, No. 2
ΔH_f (0 K) = -0.465 eV/atom

Unit cell a=6.419 b=6.922 c=9.064 alpha=103.96 beta=107.49 gamma=121.56
Element x y z (fractional)
Ru1 0.775 0.664 0.037
Pd1 0.470 0.780 0.497
La1 0.624 0.189 0.847
La2 0.133 0.220 0.228
La3 0.867 0.780 0.772
Ru2 0.225 0.336 0.963
La4 0.880 0.648 0.339
Pd2 0.530 0.220 0.503
La5 0.120 0.352 0.661
La6 0.376 0.811 0.153



Entry 4:
First-principles (PBE-GGA) data for an optimized crystal structure of LaPdRu3, as listed in Alexandria via LeMat-Bulk.

Values from the calculation:
Symmetry = Pm-3m, No. 221
ΔH_f (0 K) = 1.844 eV/atom

Unit cell a=4.755 b=4.755 c=4.755 alpha=90.00 beta=90.00 gamma=90.00
Element x y z (fractional)
Ru1 0.500 0.000 0.000
Ru2 0.000 0.000 0.500
La1 0.000 0.000 0.000
Pd1 0.500 0.500 0.500
Ru3 0.000 0.500 0.000



Entry 5:
First-principles (PBE-GGA) data for an optimized crystal structure of LaPdRu2, as listed in Alexandria via LeMat-Bulk.

Values from the calculation:
Symmetry = I-42d, No. 122
ΔH_f (0 K) = 0.196 eV/atom

Unit cell a=4.128 b=4.128 c=10.193 alpha=78.32 beta=78.32 gamma=90.00
Element x y z (fractional)
Ru1 0.526 0.125 0.250
La1 0.000 0.000 0.000
La2 0.750 0.250 0.500
Ru2 0.875 0.776 0.750
Pd1 0.250 0.750 0.500
Pd2 0.500 0.500 0.000
Ru3 0.375 0.474 0.750
Ru4 0.224 0.625 0.250



Entry 6:
First-principles (PBE-GGA) data for an optimized crystal structure of La2PdRu2, as listed in Alexandria via LeMat-Bulk.

Values from the calculation:
Symmetry = P4/mbm, No. 127
ΔH_f (0 K) = -0.241 eV/atom

Unit cell a=7.205 b=7.205 c=4.196 alpha=90.00 beta=90.00 gamma=90.00
Element x y z (fractional)
Ru1 0.125 0.375 0.000
Pd1 0.000 0.000 0.000
La1 0.189 0.689 0.500
Ru2 0.375 0.875 0.000
Pd2 0.500 0.500 0.000
La2 0.811 0.311 0.500
La3 0.311 0.189 0.500
La4 0.689 0.811 0.500
Ru3 0.875 0.625 0.000
Ru4 0.625 0.125 0.000



Entry 7:
First-principles (PBE-GGA) data for an optimized crystal structure of LaPdRu2, as listed in Alexandria via LeMat-Bulk.

Values from the calculation:
Symmetry = Fm-3m, No. 225
ΔH_f (0 K) = 0.266 eV/atom

Unit cell a=4.677 b=4.677 c=4.677 alpha=60.00 beta=60.00 gamma=60.00
Element x y z (fractional)
La1 0.500 0.500 0.500
Ru1 0.750 0.750 0.750
Ru2 0.250 0.250 0.250
Pd1 0.000 0.000 0.000



Entry 8:
First-principles (PBE-GGA) data for an optimized crystal structure of La5PdRu2, as listed in Alexandria via LeMat-Bulk.

Values from the calculation:
Symmetry = I4/mcm, No. 140
ΔH_f (0 K) = -0.415 eV/atom

Unit cell a=7.874 b=7.874 c=8.945 alpha=116.11 beta=116.11 gamma=90.00
>>>
It remains to work out how many lines above have the word "La8PdRu3" in them; a number is enough.
1